Constellation Libra has the most interesting history of all of the constellations. Echoing the mind changing, indecisiveness of the astrological sign of Libra, the ancients had a hard time even deciding if there was a constellation Libra. The Babylonians saw the scales and associated it with the judgment of the living and the dead; the ancient Greeks saw the outstretched "claws" of Scorpius. But it wasn't until the Golden age of Rome that it became the symbol of divine justice, harmony, and balance.
Locating Constellation Libra
Constellation Libra looks like a quadrangle in the sky. The stars Alpha and Beta Librae mark the scales' balance beam, and Gamma and Sigma Librae represent the weighing pans.
Locating the Libra Constellation
You can find the constellation Libra in the evening sky during summer in Northern Hemisphere and during winter in the Southern Hemisphere. It's not a flashy constellation, but you should be able to find it easily in a dark sky by using Spica and Antares as guides. Libra's two brightest stars, Zubenelgenubi, "the southern claw of the Scorpion" and Zubeneschamali, "the northern claw of the Scorpion" are about halfway between Spica and Antares.
Using Scorpius to Find Libra
Astronomers suggest that you find Antares in constellation Scorpius, then look to the right and the cluster-shaped quadrangle is Libra. However, if you're not an experienced at star hopper, there are sky maps that can guide you.
[Someone pasted records of crystals at this point]
┌──
Entry from Alexandria: a geometry-optimized CoCuSN structure (GGA-PBE).

Unit cell a=3.0850 b=3.0850 c=6.1426 alpha=111.42 beta=111.42 gamma=57.25
Last column: nearest neighbours and their distance in Å.
Fractional coordinates of all 4 atoms:
Co: 0.0000 0.0000 0.0000  3 N 1.94-1.95
Cu: 0.6261 0.6261 0.5900  2 N 2.07
S: 0.8165 0.8165 0.2858  3 Co 2.35-2.39, 3 Cu 2.43-2.48
N: 0.2513 0.2513 0.8497  3 Co 1.94-1.95, 2 Cu 2.07

Calculated values
* energy relative to the lowest polymorph listed for this composition: 0.187 eV per atom
* energy relative to the elements, uncorrected: 26 kJ/mol of atoms
* raw total energy: -5.64 eV/atom

Entry from Alexandria: a geometry-optimized CoCuSN structure (GGA-PBE).

Unit cell a=3.1257 b=3.2701 c=5.2237 alpha=90.00 beta=90.00 gamma=90.00
Last column: nearest neighbours and their distance in Å.
Fractional coordinates of all 4 atoms:
Co: 0.0000 0.0000 0.0000  2 N 1.82
Cu: 0.5000 0.5000 0.3878  2 N 1.97
S: 0.5000 0.0000 0.6963  2 Co 2.23, 2 Cu 2.30
N: 0.5000 0.0000 0.1770  2 Co 1.82, 2 Cu 1.97

Calculated values
* energy relative to the lowest polymorph listed for this composition: 0.147 eV per atom
* energy relative to the elements, uncorrected: 23 kJ/mol of atoms
* raw total energy: -5.68 eV/atom

* * * * *

Entry 1:
PBE SmScCl, relaxed; formation energy (no corrections) = -0.86 eV/atom; DFT total energy = -0.189 Ha/atom; density of states at the Fermi level = 3.9 states/eV/f.u.
1.0
-1.331 -3.210 -0.737
3.442 0.354 0.805
-1.465 -0.923 6.671
Sc Sm Cl
1 1 1
Direct
0.667 0.333 0.366
0.000 0.000 0.989
0.333 0.667 0.645

Entry 2:
PBE MgP, relaxed; ΔE to the lowest computed polymorph = 46.7 meV/atom; formation energy = -0.47 eV/atom; DFT total energy = -0.146 Ha/atom
1.0
-1.201 -2.719 2.807
6.048 -4.145 -1.427
2.894 3.341 2.562
Mg P
4 4
Direct
0.562 0.881 0.942
0.438 0.381 0.058
0.065 0.157 0.442
0.935 0.657 0.558
0.909 0.169 0.904
0.091 0.669 0.096
0.406 0.868 0.404
0.594 0.368 0.596

Entry 3:
PBE TePt2Cl, relaxed; formation energy (no corrections) = -0.24 eV/atom; ΔE to the lowest computed polymorph = 0.0 meV/atom; DFT total energy = -0.166 Ha/atom; density of states at the Fermi level = 1.6 states/eV/f.u.
1.0
3.945 0.001 -0.003
1.973 3.416 -0.003
1.965 1.134 6.877
Cl Pt Te
1 2 1
Direct
0.281 0.281 0.157
0.009 0.009 0.973
0.742 0.742 0.774
0.468 0.468 0.596

Entry 4:
PBE Pr6HIr3, relaxed; DFT total energy = -0.234 Ha/atom; density of states at the Fermi level = 8.4 states/eV/f.u.
1.0
-6.268 2.256 1.884
0.149 -5.562 7.155
3.704 7.637 3.179
Pr H Ir
12 2 6
Direct
0.189 0.694 0.641
0.689 0.641 0.694
0.203 0.437 0.889
0.703 0.889 0.437
0.158 0.043 0.957
0.675 0.224 0.776
0.175 0.776 0.224
0.658 0.957 0.043
0.203 0.111 0.563
0.703 0.563 0.111
0.189 0.359 0.306
0.689 0.306 0.359
0.027 0.202 0.798
0.527 0.798 0.202
0.467 0.939 0.723
0.967 0.723 0.939
0.408 0.393 0.607
0.908 0.607 0.393
0.967 0.061 0.277
0.467 0.277 0.061

Entry 5:
└──
[Back to the piece]
Using Star Maps to Find the Libra Constellation
Everyone is familiar with maps of the Earth that guide you from place to place, but there are also star maps of the sky that can guide you. A map of the sky, as you see it from your sky watching location, is the best and easiest way to locate all the constellations.
Two of the best are:
Fixed Stars in the Constellation Libra
The constellation Libra contains three stars with known planets and seven named stars. Methuselah, currently the oldest known star in the universe, is located in Libra, and there is one meteor shower associated with the constellation, the May Librids.

Due to the procession mentioned above, the constellation Libra's stars are all in the astrological sign of Scorpio. Libra has only two stars that are of significance in astrology; Zubeneschamali, Beta Librae, which means "the northern claw" in Arabic is at 19 degrees Scorpio. Zubenelgenubi, Alpha Librae, "the southern claw," is at 15 degrees Scorpio.
The fixed star Zubeneschamali:
- Fixed Stars and Constellation in Astrology by Vivian E Robson says Zubeneschamali brings "good fortune, high ambition, beneficence, honor, riches, and permanent happiness."
- The Living Stars by Dr. Eric Morse says it "gives a sharp mind and intellect, with a very powerful psychic quality, or psychotic if it has hard aspects or is conjunct a malefic."
- Fixed Star and Their Interpretation by Ebertin-Hoffmann says, "It arouses spiritual and mental forces, and gives an immortal name."
Uri Geller (psychic), Charles Manson (psychotic), Leonardo DiCaprio, and Mohandas Gandhi all have Zubeneschamali prominent in their horoscopes.
On the other hand, Zubenelgenubi is considered an unfortunate star. In Fixed Stars and Constellations in Astrology, Robson says of Zubenelgenubi, "It causes malevolence, obstruction, an unforgiving character, violence, disease, lying, crime, disgrace, and danger of poison."
Constellation Libra: History, Myth, and Lore
To the Romans, Libra was a favored constellation; they believed the Moon was in Libra when Rome was founded. Marcus Manilius, the author of Astronomica, the earliest treatise on astrology, said, "Italy belongs to the Balance, her rightful sign. Beneath it, Rome and her sovereignty of the world were founded." He also described Libra as, "The sign in which the seasons are balanced, and the hours of night and day match each other."

Manilius was, of course, speaking of the astrological sign rather than the astronomical constellation. During his time, the autumnal equinox no longer occurred within the constellation Libra but had moved into neighboring Virgo. The autumn equinox crossed the modern constellation boundary from Libra into Virgo around 730 BC.
Ptolemy's Almagest, written around AD 150, referred to the constellation Libra as the claws. But it was shown as a pair of scales on the celestial globe held by the Farnese Atlas; a statue produced about the same time that the Almagest was being written. However, it was in Rome and during first Century Century BC that Libra's identification with the scales or balance became firmly established. However, it didn't begin there.
The Babylonians knew this area as the balance of heaven around 1000 years BC when the autumnal equinox did lie among the stars of Libra. As early as 2000 BCE, the Babylonians associated the constellation of Libra with the judgment of the living and the dead, and Libra's scales with weighing the souls of the dead.
The Scales of Balance and Final Judgment also dates back to ancient Egyptian afterlife rituals. In these rituals, Osiris weighs the heart of the deceased against the feather of Ma'at, goddess of truth and justice. If the two were in balance, the dead were allowed to enter the afterlife. Ma'at stood for cosmic order and celestial harmony and dictated correct and proper behavior in all social situations and relationships. All of these are associated with the astrological sign of Libra.
In Greek mythology, the stars of Libra came to represent the Golden Chariot of Hades, the god of the Underworld. While Hades used the chariot to visit the Upperworld and seduce a beautiful nymph, he rarely wished the relationship to last. Of course, that was before he saw Persephone, the daughter of Demeter and Zeus, abducted her, and took her to Tartarus and made her his wife.
Distraught about the loss of her daughter, Demeter neglects her godly duties, and a vast drought spreads throughout the Upperworld. But Zeus finds a win-win solution when he convinces his brother, Hades, to give up Persephone for part of the year so that the Upperworld could again become green and lush.
Thus, Persephone was said to divide her time between the two worlds. Now every year at the autumn equinox she returns to Hades, and the world briefly becomes a cold and forbidding place. But when she emerges from the Underworld at spring equinox, the plants start to once again come to life.
The Astrological Sign of Libra
Justitia, the Roman goddess of Justice, is portrayed as evenly balancing both scales and a sword, and wearing a blindfold.

- The scales are representative of balancing the individual against the needs of society and of balancing the interests of one individual with those of another.
- The sword is the active force. It is the symbol of power, protection, authority, vigilance, and might. Metaphysically, the sword represents discrimination and the penetrating power of the intellect.
Libra Is Cardinal Air
The astrological sign of Libra is the cardinal (active) air (intellect) sign (non-emotional and rational) that incorporates the inherent right of the individual, the culture, and the responsibilities of civil society. At its very best, Libra represents the highest standards and virtues of humanity. Within the sign of Libra, there's an inner battle to balance the scales of truth and justice that is present in every facet of human relationships and desires.
Astrological Zodiac Versus Constellation Zodiac
Long ago the astrological signs lined up with the constellations; however, due to the precession of the equinoxes, that's no longer true. This 10-minute video by Heavenly Truth can help you understand the mechanics of astrology.
Astrological Zodiac Based on Changing Seasons
{"formula": "MnV2O6", "functional": "PBE with a Hubbard U", "state": "optimized geometry", "lattice": [[5.075, -1.800, 0.000], [5.075, 1.800, 0.000], [-1.218, 0.000, 6.992]], "species": ["Mn", "V", "V", "O", "O", "O", "O", "O", "O"], "frac_coords": [[0.000, 0.000, 0.000], [0.251, 0.251, 0.685], [0.749, 0.749, 0.315], [0.109, 0.109, 0.773], [0.232, 0.232, 0.393], [0.383, 0.383, 0.871], [0.617, 0.617, 0.129], [0.768, 0.768, 0.607], [0.891, 0.891, 0.227]], "spacegroup": "No. 12", "dft_energy_ev_per_cell": -68.9, "magmom_total_mub_per_atom": 0.56, "volume_a3_per_atom": 14.196, "crystal_system": "monoclinic"}

=====

{"formula": "La4Ti5S12O2", "functional": "SCAN", "state": "PBEsol geometry", "cell": [[-1.1666, -8.1216, -1.2574], [8.5871, -2.0397, 5.2071], [-5.4537, -0.5584, 8.6667]], "species": ["La", "La", "La", "La", "La", "La", "La", "La", "Ti", "Ti", "Ti", "Ti", "Ti", "Ti", "Ti", "Ti", "Ti", "Ti", "S", "S", "S", "S", "S", "S", "S", "S", "S", "S", "S", "S", "S", "S", "S", "S", "S", "S", "S", "S", "S", "S", "S", "S", "O", "O", "O", "O"], "frac_coords": [[0.2644, 0.2960, 0.2924], [0.2642, 0.7024, 0.7101], [0.2663, 0.7041, 0.2994], [0.2555, 0.2792, 0.7147], [0.7358, 0.7024, 0.7101], [0.7356, 0.2960, 0.2924], [0.7445, 0.2792, 0.7147], [0.7337, 0.7041, 0.2994], [0.5000, 0.9967, 0.2075], [0.5000, 0.9935, 0.7966], [0.5000, 0.7931, 0.0051], [0.5000, 0.2034, 0.0046], [0.5000, 0.9993, 0.5063], [0.5000, 0.4944, 0.0002], [0.0000, 0.5097, 0.4985], [0.0000, 0.9969, 0.0046], [0.0000, 0.0225, 0.3121], [0.0000, 0.6966, 0.0112], [0.7207, 0.9970, 0.3542], [0.7221, 0.9915, 0.6624], [0.7222, 0.6459, 0.0055], [0.7219, 0.3379, 0.0034], [0.2779, 0.9915, 0.6624], [0.2793, 0.9970, 0.3542], [0.2781, 0.3379, 0.0034], [0.2778, 0.6459, 0.0055], [0.3153, 0.9927, 0.0078], [0.6847, 0.9927, 0.0078], [0.5000, 0.2331, 0.5045], [0.5000, 0.7574, 0.5039], [0.5000, 0.5000, 0.2399], [0.5000, 0.4932, 0.7653], [0.0000, 0.7430, 0.5027], [0.0000, 0.2319, 0.4792], [0.0000, 0.4981, 0.7424], [0.0000, 0.5090, 0.2497], [0.2769, 0.4923, 0.5031], [0.7231, 0.4923, 0.5031], [0.0000, 0.1757, 0.1532], [0.0000, 0.8421, 0.1774], [0.0000, 0.1556, 0.8374], [0.0000, 0.8340, 0.8360], [0.5000, 0.1865, 0.1948], [0.5000, 0.8028, 0.8157], [0.5000, 0.8058, 0.1956], [0.5000, 0.1819, 0.8158]], "dos_ef_per_ev_atom": 0.20, "formation_energy_uncorrected_ev_per_atom": -2.2065}

=====

{"formula": "TiMo3Au", "functional": "SCAN", "state": "PBEsol geometry", "cell": [[-4.1725, 0.9339, -1.2451], [-0.9360, -4.3520, -0.1277], [-1.2435, 0.1421, 4.2739]], "species": ["Mo", "Mo", "Mo", "Au", "Ti"], "frac_coords": [[0.0000, 0.5000, 0.0000], [0.0000, 0.0000, 0.5000], [0.5000, 0.0000, 0.0000], [0.5000, 0.5000, 0.5000], [0.0000, 0.0000, 0.0000]], "e_form_ev_per_atom": 1.463, "dos_ef_per_ev_atom": 0.79, "relative_energy_kj_per_mol_fu": 0}

=====
The astrological zodiac's signs are based on the changing of Earth's seasons. Each of the 12 signs of the astrological zodiac marks 30 degrees arc of space along the Earth's ecliptic. The Sun passes through the astrological zodiac's sign of Libra from about September 23 to October 22.
13 Constellations Touch Earth's Elliptic
There are 88 constellations whose boundaries were defined by The International Astronomical Union (IAU) in 1930. Thirteen of these constellations touch the Earth's ecliptic, and 12 bear the same names as the astrological signs. The 13th, Ophiuchus, was not included in the astrological signs of the zodiac. The Sun passes in front of constellation Libra from about October 30 to November 23.
It's interesting to note that due to the precession of the equinoxes, when the sun is traversing the astrological sign of Libra, it's also passing in front of the Scorpius constellation.
Relevance of Libra Constellation in Astrology
While the constellation zodiac and the signs of the astrological zodiac are not the same, the constellations and their stars are relevant to astrology. Not all astrologers use them, but the ones that do believe they add depth of meaning to a horoscope.
Until Death Do Us Part
In the astrological zodiac, Libra rules the 7th house of relationships, partnerships, and marriage. The stars of the constellation Libra's scales are still named for the scorpion's claws. If you look deeply into the scorpion symbolism, the scorpion uses its claws to hold onto its mate and for making love, as well as for slaying its prey. "To have and to hold, from this day forward, for better, for worse, for richer, for poorer, in sickness and in health, until death do us part" is the traditional marriage vow. Knowing the history of Libra's scales and claws reveals that Libra walks a razor's edge between self and other; love and hate; peace and war; life and death. Understanding this about the sign of Libra gives a much more profound take on what's often considered the "nicest" sign of the astrological zodiac.